It remains to start at the top of the entries underneath and retype each line, ending with the one that has "0.333 In".
- - -
Record 1
Ba3AlZn2O6 | PBE | optimized geometry

Cell and atoms, written as POSCAR:
```
Ba3AlZn2O6
1.0
5.855 0.000 0.000
-2.928 5.071 0.000
0.000 0.000 6.865
Ba Al Zn O
3 1 2 6
direct
0.333 0.667 0.652 Ba
0.667 0.333 0.348 Ba
0.000 0.000 0.000 Ba
0.000 0.000 0.500 Al
0.667 0.333 0.783 Zn
0.333 0.667 0.217 Zn
0.685 0.843 0.328 O
0.157 0.315 0.328 O
0.157 0.843 0.328 O
0.843 0.685 0.672 O
0.315 0.157 0.672 O
0.843 0.157 0.672 O
```

Calculated values
Final energy   -5.56 eV/atom
Space group   P-3m1
Energy relative to the elements, uncorrected   -2.075 eV/atom
Calculated density   5.4 g/cm³

---

Record 2
AsIrRh2 | PBE | optimized geometry

Cell and atoms, written as POSCAR:
```
AsIrRh2
1.0
-1.306 -0.219 4.955
-2.199 -4.328 1.654
4.168 2.036 -2.186
As Ir Rh
1 1 2
direct
0.750 0.250 0.500 As
0.250 0.750 0.500 Ir
0.966 0.966 0.000 Rh
0.534 0.534 0.000 Rh
```

Calculated values
Formation energy   0.14 eV per formula unit
Final energy   -7.02 eV/atom
Space group   Immm
Calculated density   13.4 g/cm³

---

Record 3
InOsBr | PBE | optimized geometry

Cell and atoms, written as POSCAR:
```
InOsBr
1.0
4.547 0.000 0.000
-2.274 3.938 0.000
0.000 0.000 3.205
Os Br In
1 1 1
direct
0.333 0.667 0.833 Os
0.000 0.000 0.833 Br
0.667 0.333 0.333 In
```

Calculated values
Final energy   -4.32 eV/atom
Space group   P-6m2
Energy relative to the elements, uncorrected   0.890 eV/atom
Calculated density   11.1 g/cm³
Energy relative to the lowest polymorph listed for this composition   62 meV per atom

---

Record 4
ZnCr | PBE | optimized geometry

Cell and atoms, written as POSCAR:
```
ZnCr
1.0
7.833 0.000 0.000
-3.917 6.784 0.000
0.000 0.000 3.181
Zn Cr
6 6
direct
0.843 0.686 0.250 Zn
0.157 0.843 0.750 Zn
0.314 0.157 0.250 Zn
0.157 0.314 0.750 Zn
0.843 0.157 0.250 Zn
0.686 0.843 0.750 Zn
0.444 0.887 0.250 Cr
0.556 0.444 0.750 Cr
0.113 0.556 0.250 Cr
0.556 0.113 0.750 Cr
0.444 0.556 0.250 Cr
0.887 0.444 0.750 Cr
```

Calculated values
Formation energy   0.68 eV per formula unit
Final energy   -5.11 eV/atom
Space group   P6_3/mmc
Calculated density   6.9 g/cm³

---
- - -
Record 1
Ba3AlZn2O6 | PBE | optimized geometry

Cell and atoms, written as POSCAR:
```
Ba3AlZn2O6
1.0
5.855 0.000 0.000
-2.928 5.071 0.000
0.000 0.000 6.865
Ba Al Zn O
3 1 2 6
direct
0.333 0.667 0.652 Ba
0.667 0.333 0.348 Ba
0.000 0.000 0.000 Ba
0.000 0.000 0.500 Al
0.667 0.333 0.783 Zn
0.333 0.667 0.217 Zn
0.685 0.843 0.328 O
0.157 0.315 0.328 O
0.157 0.843 0.328 O
0.843 0.685 0.672 O
0.315 0.157 0.672 O
0.843 0.157 0.672 O
```

Calculated values
Final energy   -5.56 eV/atom
Space group   P-3m1
Energy relative to the elements, uncorrected   -2.075 eV/atom
Calculated density   5.4 g/cm³

---

Record 2
AsIrRh2 | PBE | optimized geometry

Cell and atoms, written as POSCAR:
```
AsIrRh2
1.0
-1.306 -0.219 4.955
-2.199 -4.328 1.654
4.168 2.036 -2.186
As Ir Rh
1 1 2
direct
0.750 0.250 0.500 As
0.250 0.750 0.500 Ir
0.966 0.966 0.000 Rh
0.534 0.534 0.000 Rh
```

Calculated values
Formation energy   0.14 eV per formula unit
Final energy   -7.02 eV/atom
Space group   Immm
Calculated density   13.4 g/cm³

---

Record 3
InOsBr | PBE | optimized geometry

Cell and atoms, written as POSCAR:
```
InOsBr
1.0
4.547 0.000 0.000
-2.274 3.938 0.000
0.000 0.000 3.205
Os Br In
1 1 1
direct
0.333 0.667 0.833 Os
0.000 0.000 0.833 Br
0.667 0.333 0.333 In